Good morning and Happy Wednesday! I hope you are having a great week so far. I've had lots of requests for future newsletters this week - which milk is best? Is cheese ok to eat? What is AF? Are e-cigarettes bad for you? Keep the ideas coming as that's how I get my ideas to do research for each newsletter.
This week is all about an easy morning detox routine you can start and all about what Atrial Fibrillation (AF) is.
Enjoy! Keep you suggestions and questions coming.
p.s If you want daily updates about the latest in health and fitness, as well as up to date facts about the heart, follow us on Facebook HERE (click Like to get our updates).
Food of the week
Apple cider vinegar
For years my friend has been taking apple cider vinegar regularly and as I was visiting this week I noticed it again in her kitchen. She swears it has helped improve her skin as well as reduced her knee pain so this week I have been looking into how and why it may help.
Apple cider vinegar contains several minerals including magnesium, phosphorus,calcium and potassium.
It has been found that mineral deficiency can worsen joint pain, so a diet rich in essential minerals is an important step to relieving the pain of arthritis. The potassium in cider vinegar may be especially beneficial because it works to prevent acid build-up in the joints, which is linked to joint stiffness.
Apple cider vinegar is also rich in beneficial enzymes and acids that improve digestive health. Taking a tablespoon of apple cider vinegar before a meal will encourage proper digestion of food and absorption of nutrients. This is vitally important for those with arthritis or any digestion issues, as poor digestion can lead to deficiencies in minerals and other nutrients. These nutrients are crucial for joint health, so it is imperative that the body be capable of absorbing and using them. With apple cider vinegar, this is made possible even if you have arthritis.
Studies suggest that joint pain and arthritis may be linked to toxins accumulating in the joints, since metabolic waste is often stored in connective tissues. At the same time, people with joint pain tend to shun activities that might trigger more pain, and the lack of movement may cause toxins to build-up even more. The pectin in apple cider vinegar helps absorb toxins and move them out of the system, while the acids in cider vinegar work to purify and detoxify the entire body.
Unfortunately there has been no concrete scientific research that proves apple cider vinegar helps with joint pain however most doctors conclude that it will not cause any harm and may have a placebo effect. So why not!
This is the one that I use - I bought it from a health food shop.
How to Use Apple Cider
**Unrelated to this text: calculated molecules**
Entry 1:
The following is a quantum chemistry calculation of a molecular structure, C43H56N7O2P2S2SiV, from the OMol25 dataset.

Positions of all 114 atoms, in Å:
V 0.103 -0.336 -0.287
C -3.938 3.425 1.168
Si -2.452 4.547 0.956
C -2.672 5.621 -0.569
C -2.238 5.613 2.483
C -0.804 3.616 0.687
C 0.355 4.389 0.671
C 1.608 3.839 0.414
C 1.688 2.488 0.167
N 0.597 1.711 0.193
C -0.617 2.248 0.437
S -1.831 1.018 0.278
H -4.819 4.058 1.304
H -3.847 2.780 2.044
H -4.110 2.794 0.296
H -3.539 6.275 -0.453
H -2.838 5.012 -1.463
H -1.803 6.255 -0.755
H -3.122 6.237 2.630
H -1.377 6.280 2.413
H -2.112 4.995 3.372
H 0.288 5.457 0.849
H 2.498 4.451 0.386
H 2.624 2.005 -0.079
C 3.022 -0.560 1.762
C 1.960 -1.133 2.703
P 0.252 -0.592 2.270
C -0.022 0.883 3.290
C -1.306 1.146 3.769
C -1.548 2.275 4.537
C -0.515 3.156 4.827
C 0.760 2.908 4.342
C 1.007 1.778 3.577
C -0.847 -1.822 3.017
C -0.570 -2.385 4.263
C -1.440 -3.311 4.816
C -2.597 -3.672 4.136
C -2.885 -3.106 2.903
C -2.010 -2.185 2.342
P 2.704 -0.916 -0.013
C 3.318 -2.594 -0.339
C 2.985 -3.183 -1.559
C 3.459 -4.447 -1.880
C 4.271 -5.131 -0.987
C 4.614 -4.543 0.223
C 4.143 -3.280 0.546
C 3.931 0.115 -0.886
C 3.846 0.213 -2.275
C 4.763 0.971 -2.984
C 5.775 1.646 -2.316
C 5.875 1.547 -0.936
C 4.962 0.782 -0.224
H 4.010 -0.911 2.062
H 3.054 0.530 1.830
H 2.179 -0.839 3.731
H 1.979 -2.222 2.651
H -2.115 0.459 3.559
H -2.543 2.459 4.922
H -0.702 4.029 5.438
H 1.572 3.587 4.572
H 2.017 1.597 3.231
H 0.320 -2.097 4.810
H -1.221 -3.747 5.782
H -3.276 -4.392 4.572
H -3.792 -3.382 2.381
H -2.222 -1.739 1.378
H 2.354 -2.646 -2.259
H 3.201 -4.894 -2.831
H 4.644 -6.115 -1.235
H 5.255 -5.070 0.918
H 4.423 -2.849 1.499
H 3.065 -0.316 -2.806
H 4.691 1.035 -4.062
H 6.489 2.240 -2.871
H 6.671 2.057 -0.411
H 5.071 0.711 0.850
N 0.812 -3.625 1.019
N 0.158 -2.757 0.086
H 0.750 -4.587 0.698
H 0.297 -3.571 1.892
H -0.826 -2.982 -0.032
H 0.597 -2.917 -0.819
C 2.271 -2.225 -5.608
C 0.808 -2.176 -5.159
C 0.550 -1.012 -4.257
N 0.730 -1.032 -2.987
N 0.505 0.170 -2.367
C 0.154 1.116 -3.204
N -0.134 2.379 -2.859
S 0.136 0.574 -4.850
H 2.442 -3.085 -6.254
H 2.937 -2.303 -4.747
H 2.541 -1.328 -6.166
H 0.546 -3.081 -4.608
H 0.146 -2.123 -6.024
H -0.262 2.596 -1.884
H -0.529 3.010 -3.532
O -2.285 -0.315 -2.935
C -2.358 -1.101 -1.991
O -1.482 -1.411 -1.131
C -3.732 -1.803 -1.802
N -4.536 -1.443 -3.021
C -5.827 -0.809 -2.581
C -5.439 -0.173 -1.258
C -4.532 -1.227 -0.622
H -3.615 -2.883 -1.746
H -4.674 -2.224 -3.657
H -3.899 -0.744 -3.480
H -6.559 -1.604 -2.447
H -6.173 -0.124 -3.350
H -6.313 0.055 -0.651
H -4.888 0.755 -1.424
H -5.120 -2.013 -0.146
H -3.873 -0.800 0.129
**The text goes on**
All of the benefits of apple cider vinegar can only be achieved with vinegar that is organic, raw, unfiltered and unprocessed. Your apple cider vinegar should be ruddy-colored with a noticeable amount of residue floating around in the bottle. This is the natural accumulation of beneficial enzymes and nutrients.
The simplest way to incorporate apple cider vinegar into your diet is to mix 1-3 teaspoons in a glass of water three times per day, preferably just before meals. You can sweeten the drink with a small amount of honey if you like.
I'll be honest, the taste isn't amazing, but it tastes....healthy! Mix it with a bit of water and down it like a shot - gets it out of the way!
Interactions to be aware of
Apple cider vinegar interacts with the following medications in large doses so be cautious if you take the following:
Digoxin, insulin, diuretics.